Monday, December 19, 2011

Penguins and Pajamas

It is after 5:00 and I am still in my pajamas! Ahhhh, Christmas Break how do I love thee! I have spent the day reading one of my favorite books again (Hill Country by Janice Woods Windle), cleaning ( a bit), eating, making new activities, eating, enjoying my boys (fur babies), and eating. I will get dressed later so I can go to Chilly Fillmore's for dessert!

My kiddos love the addition and subtraction sorts I have made. In 1st grade we are not supposed to have children memorize facts, but we (meaning myself and my buddy Carla) probably do enough games and other activities that they begin to memorize them and gain an understanding by the different math strategies we teach them too (10 makers, doubles, plus 1, minus 1, etc).

We did many of the Color by Code that 1st Grade a la Carte had as part of her 12 Days of Christmas. My kiddos are addicted to color by code/number activities but some got tricked by the mixed addition and subtraction. So, I was inspired to trick them too! They love when I tell them I am going to try and trick their brains!

I hope you can use this sort too!

I would love for you to leave me the gift of a heart note!

I had so much fun with my first giveaway that I am planning on another one when I reach 500 followers. Please tell your friends to follow me or if you have been stalking and printing but NOT following then you need to! =)

34 heart notes:

jen said... 1

Heather, thank you for following me! I recently found your blog through TBA and I'm loving it! Your poems melt my heart and remind me why I teach! Sometimes, amid the curriculum demands, the standards, and various other things we can't control, I forget. Thank you for the reminders :o) I look forward to more posts...and poems!

[Crystal structures from another source follow]
+++
Cs3Ac3ScO8 | the Alexandria database | PBE-GGA | relaxed; formation energy without anion corrections = -2.512 eV per atom; magnetic moment = 0.945 μB/cell; V = 22.74 A^3/atom
1.0
3.7426 2.1608 7.0310
-3.7426 2.1608 7.0310
0.0000 -4.3216 7.0310
Cs Ac Sc O
3 3 1 8
direct
0.0000 0.5000 0.5000 Cs
0.5000 0.0000 0.5000 Cs
0.5000 0.5000 0.0000 Cs
0.0000 0.0000 0.5000 Ac
0.0000 0.5000 0.0000 Ac
0.5000 0.0000 0.0000 Ac
0.5000 0.5000 0.5000 Sc
0.2252 0.2252 0.2252 O
0.2543 0.7017 0.7017 O
0.2983 0.2983 0.7457 O
0.2983 0.7457 0.2983 O
0.7017 0.2543 0.7017 O
0.7017 0.7017 0.2543 O
0.7457 0.2983 0.2983 O
0.7748 0.7748 0.7748 O

* * * * *

Record 1
Crystalline Rb3H2OsO6 at its relaxed geometry, computed with PBE-GGA.

The structure in POSCAR format:
```
Rb3H2OsO6
1.0
6.549 0.000 0.000
0.000 9.410 0.000
-3.009 0.000 5.978
Rb H Os O
6 4 2 12
direct
0.005 0.250 0.084 Rb
0.244 0.569 0.509 Rb
0.244 0.931 0.509 Rb
0.756 0.069 0.491 Rb
0.756 0.431 0.491 Rb
0.995 0.750 0.916 Rb
0.288 0.026 0.987 H
0.288 0.474 0.987 H
0.712 0.526 0.013 H
0.712 0.974 0.013 H
0.398 0.250 0.826 Os
0.602 0.750 0.174 Os
0.165 0.250 0.544 O
0.186 0.082 0.854 O
0.186 0.418 0.854 O
0.422 0.610 0.206 O
0.422 0.890 0.206 O
0.484 0.750 0.875 O
0.516 0.250 0.125 O
0.578 0.110 0.794 O
0.578 0.390 0.794 O
0.814 0.582 0.146 O
0.814 0.918 0.146 O
0.835 0.750 0.456 O
```

energy = -132.8 eV/cell
size of the total moment = 0.084 μB per atom



Record 2
Crystalline Tl3H2OsO6 at its relaxed geometry, computed with PBE-GGA.

The structure in POSCAR format:
```
Tl3H2OsO6
1.0
6.483 0.000 0.000
0.000 9.252 0.000
-2.806 0.000 5.892
Tl H Os O
6 4 2 12
direct
0.026 0.070 0.251 Tl
0.026 0.430 0.251 Tl
0.429 0.250 0.990 Tl
0.571 0.750 0.010 Tl
0.974 0.570 0.749 Tl
0.974 0.930 0.749 Tl
0.490 0.522 0.280 H
0.490 0.978 0.280 H
0.510 0.022 0.720 H
0.510 0.478 0.720 H
0.329 0.750 0.403 Os
0.671 0.250 0.597 Os
0.040 0.750 0.183 O
0.301 0.605 0.586 O
0.301 0.895 0.586 O
0.356 0.585 0.189 O
0.356 0.915 0.189 O
0.361 0.250 0.487 O
0.639 0.750 0.513 O
0.644 0.085 0.811 O
0.644 0.415 0.811 O
0.699 0.105 0.414 O
0.699 0.395 0.414 O
0.960 0.250 0.817 O
```

energy = -130.9 eV/cell
size of the total moment = 0.083 μB per atom



Record 3
Crystalline PrP3H10O14 at its relaxed geometry, computed with PBE-GGA.

The structure in POSCAR format:
```
PrP3H10O14
1.0
7.300 0.000 0.000
3.511 8.072 0.000
1.536 1.375 9.190
Pr P H O
2 6 20 28
direct
0.060 0.260 0.270 Pr
0.940 0.740 0.730 Pr
0.137 0.276 0.879 P
0.148 0.071 0.661 P
0.497 0.138 0.690 P
0.503 0.862 0.310 P
0.852 0.929 0.339 P
0.863 0.724 0.121 P
0.198 0.867 0.928 H
0.224 0.960 0.046 H
0.238 0.501 0.321 H
0.275 0.369 0.463 H
0.350 0.488 0.613 H
0.350 0.677 0.115 H
0.367 0.664 0.562 H
0.376 0.399 0.127 H
0.480 0.475 0.791 H
0.485 0.217 0.079 H
0.515 0.783 0.921 H
0.520 0.525 0.209 H
0.624 0.601 0.873 H
0.633 0.336 0.438 H
0.650 0.323 0.885 H
0.650 0.512 0.387 H
0.725 0.631 0.537 H
0.762 0.499 0.679 H
0.776 0.040 0.954 H
0.802 0.133 0.072 H
0.055 0.221 0.757 O
0.065 0.141 0.518 O
+++
[Back to the piece]

Delighted said... 3

I love the way that you spent the day! :-) Thank you for the freebie. Keep on relaxing.

First Grade Delight

Tara said... 4

Love your bun!!! I have one too! Just got her for my classroom about a month ago. Her name is Petunia. She has been in a few of my posts. I've been in sweats all day:)))))

4th Grade Frolics

Calculated crystals, as found in the file:
/*
#1
An optimized crystal structure of Nd3Y8Er2. Source: Alexandria, functional PBE-GGA.

As for the spin magnetization: 0.00 μB/f.u. The volume is 34.501 Å³/atom. The density of states at the Fermi level is 16.8 states/eV/cell.

```
13
Lattice="7.408 -4.598 0.000 7.408 4.598 0.000 -2.229 0.000 6.583" Properties=species:S:1:pos:R:3 pbc="T T T"
Nd 0.000 0.000 0.000
Nd 6.293 2.992 3.292
Nd 6.293 -2.992 3.292
Y 0.835 0.000 5.916
Y 3.818 1.656 5.382
Y 5.499 0.000 1.795
Y 8.768 1.656 1.202
Y 3.818 -1.656 5.382
Y 7.087 0.000 4.789
Y 8.768 -1.656 1.202
Y 11.752 0.000 0.668
Er 2.173 0.000 2.797
Er 10.414 0.000 3.786
```



#2
An optimized crystal structure of Nd3Y8Er2. Source: Alexandria, functional PBE-GGA.

As for the spin magnetization: 0.00 μB/f.u. The volume is 34.103 Å³/atom. The density of states at the Fermi level is 22.8 states/eV/cell.

```
13
Lattice="10.035 -3.877 0.000 10.035 3.877 0.000 -0.002 0.000 5.698" Properties=species:S:1:pos:R:3 pbc="T T T"
Nd 0.000 0.000 0.000
Nd 10.034 1.614 2.849
Nd 10.034 -1.614 2.849
Y 2.714 0.000 2.848
Y 7.844 1.620 5.697
Y 6.544 0.000 2.846
Y 12.224 1.620 0.001
Y 7.844 -1.620 5.697
Y 13.524 0.000 2.852
Y 12.224 -1.620 0.001
Y 17.354 0.000 2.850
Er 4.837 0.000 5.695
Er 15.231 0.000 0.003
```



Most favorable first, least favorable last: #1, #2
*/

absees123s said... 5

Thank you so much!! I have a bunny too, well, I'm fostering him , but he's been with me since May, so I'm assuming he's mine, lol. LOVE them! I love your freebie!! Thank you so much. I will be in my pjs starting on Friday..we go until Thursday, 12/22, but don't go back to January 9!! WOOHOOO! Merry Christmas and Happy Holidays!

Karen said... 7

Thanks for sharing the Penguin freebie! So jealous that you are already on break. I go thru Thursday. You are now 1 person closer to 400 followers! I follow you!!! Merry Christmas!

Jennifer K. said... 8

Aww I have a bunny too - his name is Babbity Rabbity and he is a love! Thanks for the Penguin math - I do Penguins in January so this is great timing!

Jennifer @ Herding Kats In Kindergarten

Erin Eberhart said... 9

I'm here!! Sorry I've been so MIA in the "posting" world. You are always sooo good to comment :) I love your freebies...most are a little above my kinders' heads, but I could prob use with a few of my higher kiddos during station time. I'll let you know how it turns out! Thanks for everything. Keep up the good work. Your blog looks great!

Between two parts of the entry: records of crystals =
-- begin --
# 1
Ca3NbO6 | PBEsol | optimized geometry

```
20
Lattice="5.612 0.000 0.005 0.000 5.889 0.000 0.072 0.000 7.976" Properties=species:S:1:pos:R:3 pbc="T T T"
Ca 2.696 0.358 1.928
Ca 2.989 5.531 6.053
Ca 0.146 3.302 2.063
Ca 5.538 2.587 5.918
Ca 2.806 2.944 0.002
Ca 0.036 0.000 3.988
Nb 2.842 2.944 3.990
Nb 0.000 0.000 0.000
O 3.571 2.569 2.166
O 2.113 3.320 5.815
O 4.883 5.513 1.829
O 0.802 0.376 6.152
O 1.838 4.574 3.330
O 3.846 1.315 4.651
O 1.004 1.629 0.660
O 4.680 4.260 7.320
O 1.242 1.852 3.516
O 4.442 4.037 4.465
O 1.600 4.796 0.474
O 4.085 1.093 7.506
```

* D(E_F): 6.79 states/eV/f.u.
* total energy: -151.75 eV/cell
* energy relative to the elements, uncorrected: -2.716 eV per atom

***

# 2
MgAlZn2 | PBEsol | optimized geometry

```
4
Lattice="4.147 0.000 0.000 0.000 4.147 0.000 -2.074 -2.074 3.780" Properties=species:S:1:pos:R:3 pbc="T T T"
Mg 2.074 2.074 0.000
Zn 2.074 0.000 1.890
Zn 0.000 2.074 1.890
Al 0.000 0.000 0.000
```

* D(E_F): 1.40 states/eV/f.u.
* total energy: -9.01 eV/cell

***

# 3
Mn3AlC | PBEsol | optimized geometry

```
5
Lattice="-1.340 -1.946 -2.924 -1.250 -2.661 2.344 -3.283 1.807 0.302" Properties=species:S:1:pos:R:3 pbc="T T T"
C -2.936 -1.400 -0.139
Mn -2.266 -0.427 1.323
Mn -1.295 -2.303 -0.290
Mn -2.311 -0.069 -1.311
Al 0.000 0.000 0.000
```

* D(E_F): 3.70 states/eV/f.u.
* total energy: -44.00 eV/cell

***

# 4
Ca2ScOs | PBEsol | optimized geometry

```
4
Lattice="-2.129 1.166 2.173 0.332 -3.603 2.259 6.902 4.392 1.962" Properties=species:S:1:pos:R:3 pbc="T T T"
Sc 0.166 -1.802 1.130
Ca 3.246 0.972 5.100
Ca 1.861 0.983 1.295
Os -1.064 0.583 1.087
```

* D(E_F): 3.23 states/eV/f.u.
* total energy: -22.62 eV/cell

***

# 5
TaCuPt | PBEsol | optimized geometry

```
3
Lattice="-2.708 -0.448 0.420 0.368 -3.581 -1.446 1.980 0.598 4.229" Properties=species:S:1:pos:R:3 pbc="T T T"
Pt 0.543 -0.950 2.492
Cu -0.361 -3.429 3.195
Ta -0.902 -2.484 0.717
```

* D(E_F): 1.21 states/eV/f.u.
* total energy: -25.09 eV/cell

***

# 6
Na3Ag | PBEsol | optimized geometry

```
8
Lattice="-3.539 -1.655 3.635 2.608 -6.198 -0.282 2.428 4.475 4.401" Properties=species:S:1:pos:R:3 pbc="T T T"
Na 1.069 -3.448 5.346
Na -0.077 -5.561 3.268
Na -1.309 -2.635 3.401
Na 0.429 0.071 2.408
Na 1.575 2.184 4.486
Na 2.807 -0.742 4.352
Ag 1.664 -3.054 2.188
Ag -0.166 -0.323 5.566
```

* D(E_F): 1.62 states/eV/f.u.
* total energy: -14.53 eV/cell

***

# 7
ReIrBr | PBEsol | optimized geometry

```
3
Lattice="4.120 0.000 0.000 2.060 3.568 0.000 2.060 1.189 3.364" Properties=species:S:1:pos:R:3 pbc="T T T"
Re 4.120 2.379 1.682
Ir 0.000 0.000 0.000
Br 6.181 3.568 2.523
```

* D(E_F): 3.15 states/eV/f.u.
* total energy: -19.88 eV/cell
* energy relative to the elements, uncorrected: 1.714 eV per atom

***

# 8
CaMnO2 | PBEsol | optimized geometry

```
4
Lattice="-2.527 -1.193 2.070 -2.542 -1.973 -1.319 1.526 -5.940 1.361" Properties=species:S:1:pos:R:3 pbc="T T T"
Ca -1.771 -4.553 1.056
Mn 0.000 0.000 0.000
O -4.103 -4.633 1.085
O 0.560 -4.473 1.028
```
-- stop --
Back to the entry =

Unknown said... 10

I loved waking up late today too!!!! I spend the better part of my day in my pj's and ALL day with my fur baby! I swear I spoil him with so much attention during vacations that he has a hard time when I go back to work. Great freebie :) thanks for sharing!

Happy Holidays!

❤ Mor Zrihen ❤
A Teacher's Treasure

Erika said... 11

I'm jealous! I work through Thursday. Your cat and rabbit are so cute. Does the cat tolerate the bunny? Thanks for the freebie.
2B Honey Bunch

zputty said... 12

I love your addition/subtraction sorts! My kids hardly notice they are "working" :-)

Heather's Heart said... 13

My heart goes out to all of you that are still in school. We go back the 2nd and that is pretty yucky to me! :P

My cat and bunny get along great. My cat even eats the bunny's carrots and cilantro! He is weird. In this picture, he is hanging out on TOP of the door.

Yes, my ditrict tells us we have to do this unit PLUS our integrated science and social studies unit which will be Famous Americans: Historical Figures. Learning about the Liberty Bell and penguins doesn't really go together! =)

Lori said... 14

Thanks for a great blog! Thanks for sharing all of your great products!

Samantha said... 15

So cute! I will be adding these into my stations when we return! As for how to turn a portrait into a landscape, I have no idea! lol...the skip counting was made in the landscape setting. I *think* if you pull the file as a PDF and resize it down to like 66% then take a screen shot, you can get it into a portrait shape, I *think*. I make my stations in powerpoint, and from there, I have to click on "themes" then page set up and then I can make them either way. I have just pretty much decided it is easier to make them in landscape, and turn the items on the page to make them portrait! I am a newbie at this stuff, so I am learning as I go! Thanks for following me! Check back later today...I should have more penguins up!

Unknown said... 16

Thanks for the freebie! Looks like I'll be doing a lot of penguin activities for my early finishers! I'm also enjoying break with my fur baby! (A super cute, lovey-dovey yellow lab puppy, ok not puppy because she's 2 1/2, but she'll always be my puppy!) However, not as much time right now because I am rearranging my classroom and organizing a bunch of things! I have planning to do this since the beginning of school, but it feels so good to be putting my room together in the way I really want it! :) Merry Christmas! I hope you enjoy the rest of your break! ~Heidi V.

Jackie said... 17

Thanks so much for sharing these. I am going to be doing a winter theme soon, and these will fit right it. Thanks so much.

Jess said... 18

Love this cool math game! I love January simply because I love to use penguins in my room! I just became a follower of your cute blog!
Rambling About Reading

Kelli said... 19

I am your newest follower! Love your blog--can't wait to read more!

Enjoy your break : )

Tales from a Traveling Teacher

msdora162 said... 20

I love the activities you post for us. My students and I thank you. Enjoy your break.

Unknown said... 21

Thank you for sharing! Glad you are having a relaxing break! Merry Christmas! :)
Crayons and Curls

Mary said... 23

As promised... I am here and following you. I can't wait to see the 500 followers giveaway.

I would LOVE for you to give me a shout out to you awesome followers sometime... I think you have a great thing going here.

I hope my tech tip *see my comment back to you* will be a big help!

Tricia said... 32

Thank you for sharing so many wonderful resources. I prepare future teachers and have been pinning some of your materials for them to see. I am hoping they will see that they can still be creative and that kids can have fun while teaching to the standards.

Irnfried said... 34

It is after 5:00 and I am still in my pajamas! Ahhhh, Christmas Break how do I love thee! I have spent the day reading one of my favorite books ...